Contents:
'''
A relaxed structure of SmEr2Ag. Source: Alexandria, functional PBE-GGA.

a = 6.3832 Å, b = 6.3832 Å, c = 7.8839 Å
α = 90.00°, β = 90.00°, γ = 134.09°
With the nearest neighbours (Å) after each atom.
Atoms (fractional coordinates):
Sm 0.0529 0.9471 0.7500  1 Ag 3.06
Sm 0.9471 0.0529 0.2500  1 Ag 3.06
Er 0.3559 0.6441 0.5375  3 Ag 2.86-3.09
Er 0.3559 0.6441 0.9625  3 Ag 2.86-3.09
Er 0.6441 0.3559 0.0375  3 Ag 2.86-3.09
Er 0.6441 0.3559 0.4625  3 Ag 2.86-3.09
Ag 0.2071 0.7929 0.2500  6 Er 2.86-3.09, 1 Sm 3.06
Ag 0.7929 0.2071 0.7500  6 Er 2.86-3.09, 1 Sm 3.06

The space group is Cmcm. As for the calculated formation energy: -1.78 kcal/mol of atoms. The final energy is -0.1562 hartree per atom. As for the volume: 115.4 Å³/f.u. The total magnetic moment is 0.00 μB per formula unit.


A relaxed structure of Pm6Al2Tl. Source: Alexandria, functional PBE-GGA.

a = 8.9471 Å, b = 8.9471 Å, c = 8.9471 Å
α = 111.94°, β = 111.32°, γ = 105.24°
With the nearest neighbours (Å) after each atom.
Atoms (fractional coordinates):
Pm 0.0331 0.8217 0.2114  3 Al 3.05-3.19
Pm 0.2437 0.5400 0.2963  2 Al 3.09-3.31, 2 Tl 3.34-3.45
Pm 0.2437 0.9474 0.7037  2 Al 3.09-3.31, 2 Tl 3.34-3.45
Pm 0.2760 0.3158 0.5918  3 Al 3.20-3.31, 1 Tl 3.34
Pm 0.2760 0.6842 0.9603  3 Al 3.20-3.31, 1 Tl 3.34
Pm 0.3897 0.1783 0.2114  3 Al 3.05-3.19
Pm 0.6103 0.8217 0.7886  3 Al 3.05-3.19
Pm 0.7240 0.3158 0.0397  3 Al 3.20-3.31, 1 Tl 3.34
Pm 0.7240 0.6842 0.4082  3 Al 3.20-3.31, 1 Tl 3.34
Pm 0.7563 0.0526 0.2963  2 Al 3.09-3.31, 2 Tl 3.34-3.45
Pm 0.7563 0.4600 0.7037  2 Al 3.09-3.31, 2 Tl 3.34-3.45
Pm 0.9669 0.1783 0.7886  3 Al 3.05-3.19
Al 0.0000 0.1374 0.1374  1 Al 2.75
Al 0.0000 0.8626 0.8626  1 Al 2.75
Al 0.3791 0.3791 0.0000  1 Al 2.63
Al 0.6209 0.6209 0.0000  1 Al 2.63
Tl 0.0000 0.5000 0.5000  8 Pm 3.34, 2 Al 3.63
Tl 0.5000 0.0000 0.5000  8 Pm 3.45-3.50

The space group is Immm. As for the calculated formation energy: -5.66 kcal/mol of atoms. The final energy is -0.1656 hartree per atom. As for the volume: 274.5 Å³/f.u. The total magnetic moment is 0.00 μB per formula unit.


Relative energy among the computed polymorphs per entry: 0.059; 0.000 eV per atom


Material: Ag4I3Cl2
Method: DFT, PBE
State: relaxed

Values from the calculation:
Volume, Å³ per cell: 643
M_tot, Bohr magnetons per cell: 0.0
Uncorrected formation energy, meV per atom: -277

Cell and atoms, written as POSCAR:
```
Ag4I3Cl2
1.0
-5.891 4.175 1.339
-0.661 -9.007 3.574
6.697 4.857 6.534
Ag I Cl
8 6 4
Direct
0.654 0.101 0.768
0.043 0.322 0.968
0.346 0.899 0.232
0.957 0.678 0.032
0.001 0.851 0.668
0.556 0.317 0.214
0.999 0.149 0.332
0.444 0.683 0.786
0.025 0.158 0.692
0.659 0.350 0.973
0.975 0.842 0.308
0.341 0.650 0.027
0.354 0.401 0.562
0.646 0.599 0.438
0.341 0.840 0.648
0.156 0.203 0.136
0.659 0.160 0.352
0.844 0.797 0.864
```


Below is crystalline ScRu2 at its relaxed geometry, with properties calculated at the PBE level.

Calculated values
Crystal system   cubic
Calculated density   7.568 g cm⁻³
DFT formation energy   697.2 meV/atom
SG   No. 225

abc: 4.2483 4.2483 4.2483
angles: 60.00 60.00 60.00
Sites, in units of the cell vectors:
Sc  0.0000  0.0000  0.0000
Ru  0.2500  0.2500  0.2500
Ru  0.7500  0.7500  0.7500

***

Below is crystalline Zr4HgMo at its relaxed geometry, with properties calculated at the PBE level.

Calculated values
Crystal system   cubic
Calculated density   8.555 g cm⁻³
DFT formation energy   498.4 meV/atom
SG   No. 216

abc: 5.6625 5.6625 5.6625
angles: 60.00 60.00 60.00
Sites, in units of the cell vectors:
Zr  0.3769  0.3769  0.3769
Zr  0.3769  0.3769  0.8694
Zr  0.3769  0.8694  0.3769
Zr  0.8694  0.3769  0.3769
Hg  0.0000  0.0000  0.0000
Mo  0.7500  0.7500  0.7500

***

Total moment, respectively: 0.00 0.00 μB per atom.
'''

Wanted:
What is needed: duplicate everything further above without additions.

Here it is:
A relaxed structure of SmEr2Ag. Source: Alexandria, functional PBE-GGA.

a = 6.3832 Å, b = 6.3832 Å, c = 7.8839 Å
α = 90.00°, β = 90.00°, γ = 134.09°
With the nearest neighbours (Å) after each atom.
Atoms (fractional coordinates):
Sm 0.0529 0.9471 0.7500  1 Ag 3.06
Sm 0.9471 0.0529 0.2500  1 Ag 3.06
Er 0.3559 0.6441 0.5375  3 Ag 2.86-3.09
Er 0.3559 0.6441 0.9625  3 Ag 2.86-3.09
Er 0.6441 0.3559 0.0375  3 Ag 2.86-3.09
Er 0.6441 0.3559 0.4625  3 Ag 2.86-3.09
Ag 0.2071 0.7929 0.2500  6 Er 2.86-3.09, 1 Sm 3.06
Ag 0.7929 0.2071 0.7500  6 Er 2.86-3.09, 1 Sm 3.06

The space group is Cmcm. As for the calculated formation energy: -1.78 kcal/mol of atoms. The final energy is -0.1562 hartree per atom. As for the volume: 115.4 Å³/f.u. The total magnetic moment is 0.00 μB per formula unit.


A relaxed structure of Pm6Al2Tl. Source: Alexandria, functional PBE-GGA.

a = 8.9471 Å, b = 8.9471 Å, c = 8.9471 Å
α = 111.94°, β = 111.32°, γ = 105.24°
With the nearest neighbours (Å) after each atom.
Atoms (fractional coordinates):
Pm 0.0331 0.8217 0.2114  3 Al 3.05-3.19
Pm 0.2437 0.5400 0.2963  2 Al 3.09-3.31, 2 Tl 3.34-3.45
Pm 0.2437 0.9474 0.7037  2 Al 3.09-3.31, 2 Tl 3.34-3.45
Pm 0.2760 0.3158 0.5918  3 Al 3.20-3.31, 1 Tl 3.34
Pm 0.2760 0.6842 0.9603  3 Al 3.20-3.31, 1 Tl 3.34
Pm 0.3897 0.1783 0.2114  3 Al 3.05-3.19
Pm 0.6103 0.8217 0.7886  3 Al 3.05-3.19
Pm 0.7240 0.3158 0.0397  3 Al 3.20-3.31, 1 Tl 3.34
Pm 0.7240 0.6842 0.4082  3 Al 3.20-3.31, 1 Tl 3.34
Pm 0.7563 0.0526 0.2963  2 Al 3.09-3.31, 2 Tl 3.34-3.45
Pm 0.7563 0.4600 0.7037  2 Al 3.09-3.31, 2 Tl 3.34-3.45
Pm 0.9669 0.1783 0.7886  3 Al 3.05-3.19
Al 0.0000 0.1374 0.1374  1 Al 2.75
Al 0.0000 0.8626 0.8626  1 Al 2.75
Al 0.3791 0.3791 0.0000  1 Al 2.63
Al 0.6209 0.6209 0.0000  1 Al 2.63
Tl 0.0000 0.5000 0.5000  8 Pm 3.34, 2 Al 3.63
Tl 0.5000 0.0000 0.5000  8 Pm 3.45-3.50

The space group is Immm. As for the calculated formation energy: -5.66 kcal/mol of atoms. The final energy is -0.1656 hartree per atom. As for the volume: 274.5 Å³/f.u. The total magnetic moment is 0.00 μB per formula unit.


Relative energy among the computed polymorphs per entry: 0.059; 0.000 eV per atom


Material: Ag4I3Cl2
Method: DFT, PBE
State: relaxed

Values from the calculation:
Volume, Å³ per cell: 643
M_tot, Bohr magnetons per cell: 0.0
Uncorrected formation energy, meV per atom: -277

Cell and atoms, written as POSCAR:
```
Ag4I3Cl2
1.0
-5.891 4.175 1.339
-0.661 -9.007 3.574
6.697 4.857 6.534
Ag I Cl
8 6 4
Direct
0.654 0.101 0.768
0.043 0.322 0.968
0.346 0.899 0.232
0.957 0.678 0.032
0.001 0.851 0.668
0.556 0.317 0.214
0.999 0.149 0.332
0.444 0.683 0.786
0.025 0.158 0.692
0.659 0.350 0.973
0.975 0.842 0.308
0.341 0.650 0.027
0.354 0.401 0.562
0.646 0.599 0.438
0.341 0.840 0.648
0.156 0.203 0.136
0.659 0.160 0.352
0.844 0.797 0.864
```


Below is crystalline ScRu2 at its relaxed geometry, with properties calculated at the PBE level.

Calculated values
Crystal system   cubic
Calculated density   7.568 g cm⁻³
DFT formation energy   697.2 meV/atom
SG   No. 225

abc: 4.2483 4.2483 4.2483
angles: 60.00 60.00 60.00
Sites, in units of the cell vectors:
Sc  0.0000  0.0000  0.0000
Ru  0.2500  0.2500  0.2500
Ru  0.7500  0.7500  0.7500

***

Below is crystalline Zr4HgMo at its relaxed geometry, with properties calculated at the PBE level.

Calculated values
Crystal system   cubic
Calculated density   8.555 g cm⁻³
DFT formation energy   498.4 meV/atom
SG   No. 216

abc: 5.6625 5.6625 5.6625
angles: 60.00 60.00 60.00
Sites, in units of the cell vectors:
Zr  0.3769  0.3769  0.3769
Zr  0.3769  0.3769  0.8694
Zr  0.3769  0.8694  0.3769
Zr  0.8694  0.3769  0.3769
Hg  0.0000  0.0000  0.0000
Mo  0.7500  0.7500  0.7500

***

Total moment, respectively: 0.00 0.00 μB per atom.